A Plot Twist and a Rewrite

It's hard to believe how everything has changed this year, and how much we've had to adjust to. How many things we took for granted before and ignored, and how many things have now been laid bare. This year really feels like a turning point in history, and historians will be analysing it in the future, probably on a week-by-week basis.

I have a few life updates that are happening now, the biggest of which is that I've decided to take voluntary severance from my job. They've been threatening layoffs for a long time now, since the sector I'm in has been devastated by the pandemic, and I've had enough. I'm grateful I've been able to stay this long through this bewildering year, but at the same time I've wanted to find a new job for years now. As soon as my company opened their voluntary scheme it felt like the universe was nudging me for the door.

Its been a privilege to work there for the last 4.5 years, and it's definitely helped me grow as a person and come out of my shell. I've also met a group of friends who have been there for me through some of the hardest days of my life, and I still thank the lucky permutation of fate that brought us all together at the same time. And yet, they've all gone on to new jobs now. And the role isn't what it used to be, so the things that made it fulfilling before are gone.

And to be brutally honest, I'm not willing to risk my mental and physical health during a pandemic for a job that I mostly hate.

Materials data from another source follow:
- - -
1.
VASP calculation (PBE) on a geometry-optimized ReTc2Au structure.

## Properties
**SG**: No. 160
**Calculated formation energy**: 0.21 eV/atom
**ΔE to the lowest computed polymorph**: 35.1 meV/atom

Lattice parameters (Å, degrees): 9.422 9.422 9.422 16.94 16.94 16.94
Sites, in units of the cell vectors:
Re 0.000 0.000 0.000
Tc 0.490 0.490 0.490
Tc 0.746 0.746 0.746
Au 0.245 0.245 0.245

2.
VASP calculation (PBE) on a geometry-optimized Re2TcAu structure.

## Properties
**SG**: No. 99
**Calculated formation energy**: 0.46 eV/atom
**ΔE to the lowest computed polymorph**: 261.2 meV/atom

Lattice parameters (Å, degrees): 3.259 3.259 5.986 90.00 90.00 90.00
Sites, in units of the cell vectors:
Re 0.000 0.000 0.000
Re 0.500 0.500 0.206
Tc 0.000 0.000 0.449
Au 0.500 0.500 0.722

3.
VASP calculation (PBE) on a geometry-optimized ReTc2Au structure.

## Properties
**SG**: No. 99
**Calculated formation energy**: 0.25 eV/atom
**ΔE to the lowest computed polymorph**: 80.7 meV/atom

Lattice parameters (Å, degrees): 2.772 2.772 8.047 90.00 90.00 90.00
Sites, in units of the cell vectors:
Re 0.000 0.000 0.000
Tc 0.000 0.000 0.462
Tc 0.500 0.500 0.231
Au 0.500 0.500 0.731

4.
VASP calculation (PBE) on a geometry-optimized ReTc2Au structure.

## Properties
**SG**: No. 122
**Calculated formation energy**: 0.77 eV/atom
**ΔE to the lowest computed polymorph**: 598.5 meV/atom

Lattice parameters (Å, degrees): 5.758 5.758 5.758 102.72 102.72 124.03
Sites, in units of the cell vectors:
Re 0.000 0.000 0.000
Re 0.750 0.250 0.500
Tc 0.081 0.625 0.956
Tc 0.375 0.331 0.456
Tc 0.669 0.125 0.044
Tc 0.875 0.919 0.544
Au 0.250 0.750 0.500
Au 0.500 0.500 0.000

5.
- - -

So, I'm leaping into the void, and hoping that a new opportunity might appear at some point, which feels really reckless now that I write it out. . .But maybe this is the push I need to kick start the gears on whatever happens next. Maybe I need to take this leap, otherwise I'll be stuck forever. I know that sounds dramatic, but a lot of my older colleagues have been in the same role for 20 years, and I don't want that. I never meant to stay at the job for this long anyway.

I've been applying for new jobs for the last four years, so I'll keep doing that, while also trying to dive into freelancing. Speaking of which, I'll be advertising my new editing and proofreading services here soon (and maybe launching my own website? With help of course from my incredible partner!)

As terrified as I am to willingly choose to be unemployed right now, I'm also taking heart in all the signs telling me that it's time to start a new chapter of my life. There seems to be a pattern where every four or five years I go through a major life shift, and it feels like this is another one, even if it is on a minutely personal scale in the face of the entire world's suffering right now. I'm so fortunate that I can do this right now, that I've been able to start saving over the last year or so, and can support myself for a little while. This is such a privilege and one I don't take lightly.

# 1
Material: YScHW2
Method: DFT, PBE
State: optimized geometry

a = 4.070 Å, b = 4.919 Å, c = 4.070 Å
α = 90.00°, β = 90.00°, γ = 90.00°
Fractional coordinates of all 5 atoms:
H 0.000 0.000 0.000
Y 0.000 0.500 0.000
W 0.000 0.000 0.500
Sc 0.500 0.500 0.500
W 0.500 0.000 0.000

For the size of the total moment, the calculation gives 0.00 μB per formula unit. The value obtained for the final energy is -40.2 eV per cell.



# 2
Material: Zr2ScHW
Method: DFT, PBE
State: optimized geometry

a = 5.369 Å, b = 3.404 Å, c = 5.369 Å
α = 90.00°, β = 90.00°, γ = 90.00°
Fractional coordinates of all 5 atoms:
H 0.000 0.500 0.000
W 0.000 0.000 0.000
Zr 0.000 0.000 0.500
Zr 0.500 0.000 0.000
Sc 0.500 0.500 0.500

For the size of the total moment, the calculation gives 0.00 μB per formula unit. The value obtained for the final energy is -36.3 eV per cell.



# 3
Material: YSc2H
Method: DFT, PBE
State: optimized geometry

a = 5.038 Å, b = 5.038 Å, c = 5.038 Å
α = 60.00°, β = 60.00°, γ = 60.00°
Fractional coordinates of all 4 atoms:
Y 0.500 0.500 0.500
Sc 0.750 0.750 0.750
H 0.000 0.000 0.000
Sc 0.250 0.250 0.250

For the size of the total moment, the calculation gives 0.00 μB per formula unit. The value obtained for the final energy is -19.1 eV per cell.



# 4
Material: YScH2
Method: DFT, PBE
State: optimized geometry

a = 3.354 Å, b = 3.354 Å, c = 5.950 Å
α = 73.63°, β = 73.63°, γ = 60.00°
Fractional coordinates of all 4 atoms:
H 0.269 0.269 0.194
H 0.069 0.069 0.792
Sc 0.671 0.671 0.987
Y 0.491 0.491 0.527

For the size of the total moment, the calculation gives 0.00 μB per formula unit. The value obtained for the final energy is -20.6 eV per cell.



# 5
Material: YSc3H
Method: DFT, PBE
State: optimized geometry

a = 5.368 Å, b = 5.368 Å, c = 5.368 Å
α = 90.00°, β = 90.00°, γ = 90.00°
Fractional coordinates of all 5 atoms:
Sc 0.000 0.000 0.500
Sc 0.500 0.000 0.000
Sc 0.000 0.500 0.000
H 0.500 0.500 0.500
Y 0.000 0.000 0.000

For the size of the total moment, the calculation gives 0.00 μB per formula unit. The value obtained for the final energy is -21.2 eV per cell.



# 6
Material: YSc2H
Method: DFT, PBE

I'm going to help however I can while I find my own way, and in the meantime if that's offering my writing and editing and organising skills, then I'm very ok with that.

This weekend will probably be my last weekend working at my job (and I certainly won't miss having to work every single weekend...), so I'm going to enjoy seeing my colleagues for now, and we'll keep daydreaming of having a big reunion party next year sometime, when we hopefully get on the other side of all this.

Attached: crystal structures =
# LaHo2As

An optimized crystal structure of LaHo2As (PBE, Alexandria).

## Properties
formation energy = -1.79 eV per formula unit

Cell lengths 3.7790, 3.7790, 31.6289 Å; angles 90.00, 90.00, 120.00 degrees
Space group R-3m (No. 166, hexagonal axes)
Asymmetric unit:
La 0.0000 0.0000 0.0000
Ho 0.0000 0.0000 0.1122
As 0.0000 0.0000 0.5000

# LaHoAs2

An optimized crystal structure of LaHoAs2 (PBE, Alexandria).

## Properties
formation energy = -6.16 eV per formula unit
polymorph energy (0 for the lowest one) = 0 meV/atom

Cell lengths 4.2425, 4.2425, 20.7290 Å; angles 90.00, 90.00, 120.00 degrees
Space group R-3m (No. 166, hexagonal axes)
Asymmetric unit:
La 0.0000 0.0000 0.0000
Ho 0.0000 0.0000 0.5000
As 0.0000 0.0000 0.2451

# La4HoAs5

An optimized crystal structure of La4HoAs5 (PBE, Alexandria).

## Properties
formation energy = -15.49 eV per formula unit

Cell lengths 9.6639, 9.6639, 6.1229 Å; angles 90.00, 90.00, 90.00 degrees
Space group I4/m (No. 87)
Asymmetric unit:
La 0.0982 0.7008 0.0000
Ho 0.0000 0.0000 0.5000
As 0.0000 0.0000 0.0000
As 0.0974 0.7077 0.5000

# LaHo4As5

An optimized crystal structure of LaHo4As5 (PBE, Alexandria).

## Properties
formation energy = -15.24 eV per formula unit

Cell lengths 13.7745, 4.1591, 10.1885 Å; angles 90.00, 119.49, 90.00 degrees
Space group C2/m (No. 12)
Asymmetric unit:
La 0.0000 0.0000 0.0000
Ho 0.0979 0.5000 0.3999
Ho 0.2008 0.0000 0.7953
As 0.0000 0.0000 0.5000
As 0.1057 0.5000 0.8954
As 0.2031 0.0000 0.3082

# La5HoAs6

An optimized crystal structure of La5HoAs6 (PBE, Alexandria).

## Properties
formation energy = -18.66 eV per formula unit

Cell lengths 7.5045, 12.9976, 7.5028 Å; angles 90.00, 109.49, 90.00 degrees
Space group C2/m (No. 12)
Asymmetric unit:
La 0.0000 0.0000 0.0000
La 0.0000 0.1662 0.5000
La 0.0000 0.3323 0.0000
Ho 0.0000 0.5000 0.5000
As 0.2434 0.5000 0.2542
As 0.2443 0.3372 0.7448

# La2HoAs

An optimized crystal structure of La2HoAs (PBE, Alexandria).

## Properties
formation energy = -2.33 eV per formula unit

Cell lengths 4.0554, 4.0554, 28.7674 Å; angles 90.00, 90.00, 120.00 degrees
Space group R3m (No. 160, hexagonal axes)
Asymmetric unit:
La 0.0000 0.0000 0.0000
La 0.0000 0.0000 0.2049
Ho 0.0000 0.0000 0.4350
As 0.0000 0.0000 0.6023

# La2HoAs3

An optimized crystal structure of La2HoAs3 (PBE, Alexandria).

## Properties
formation energy = -9.16 eV per formula unit

Cell lengths 4.2981, 4.2981, 18.1636 Å; angles 90.00, 90.00, 90.00 degrees
Space group I4/mmm (No. 139)
Asymmetric unit:
La 0.0000 0.0000 0.1653
Ho 0.0000 0.0000 0.5000
As 0.0000 0.0000 0.0000
As 0.0000 0.0000 0.3377

# LaNd3Ho2As6

An optimized crystal structure of LaNd3Ho2As6 (PBE, Alexandria).

## Properties
formation energy = -18.16 eV per formula unit

Cell lengths 7.3359, 12.7050, 7.3355 Å; angles 90.00, 109.48, 90.00 degrees
Space group C2/m (No. 12)
Asymmetric unit:
La 0.0000 0.0000 0.0000
Nd 0.0000 0.1651 0.5000
Nd 0.0000 0.5000 0.5000
Ho 0.0000 0.3328 0.0000
As 0.2400 0.5000 0.2433

I'm excited to at least have a bit more control over my life, and to work from home, whatever work might look like for now. I've got lots of projects I want to dive into too. Since I rewrote my first novel to submit it for PitchWars, I want to start querying it again, and see if maybe this time's the charm. I also want to finish revising my third novel, my Venice book, and send it to my lovely CPs for feedback. Then I might dive into a new idea thats been brewing on the back burner for a little while, involving a dual timeline art heist/artist's POV storyline!

I'm excited for what's next, but I'm equally just as terrified. Between the election and the pandemic, and the revolutions ripping through the world right now, it feels like everything has gone upside down. I'm so grateful I can hibernate in my hobbit hole with my partner as we try to stay safe this winter, and that we can keep in touch with friends and family albeit digitally.

I hope you find something that gives you joy today, and helps inspire you, even if it is only for yourself. The world needs art and magic and passion now more than ever.

Thanks for reading, and take care, and Happy Halloween!



A New Adventure


Never Have I Ever: Writer Edition